Big Pharma news


Boehner Responds to Reid and Co. Demands He Not Repeal ObamaCare: The House Will Repeal It Now, Youre Welcome

Weasel Zippers - 6 days ago

(The Hill)- Incoming House Speaker John Boehner’s office (R-Ohio) pointedly vowed on Tuesday to push ahead with Legislation repealing Healthcare Reform. Boehner’s office responded to a letter sent by the Senate’s top five Democra…


Opinion: The big biz behind GOP's 'small gov'

Politico - 22nd Oct 2010

Republicans dub their congressional challengers the Young Guns, who proclaim a reborn conservative fealty to balanced budgets, Small Government and free markets. At the same time, their campaigns are fueled by what The Washington Post calls a &l;…


Charlie Crist crucifies himself

Salon - 22nd Sep 2010

Hey, what’s Gov. Charlie Crist of Florida, who’s running as an independent for senator, doing in a Claritin ad? No, wait a minute, it’s a campaign commercial that just looks like some bad idea churned out by Big Pharma. In this e…


Obama Sucks Up To Wall Street, Big Pharma, The Pentagon, and the GOP - Yet His Spokesman Disses His Progressive Base

Blogcritics - 11th Aug 2010

What next, Mr President? As a Candidate you promised concrete things to Progressives — closing Guantanamo, making Big moves on Energy Independence and Climate Change and infrastructure, creating good jobs that can't be outsourced, etc. &mda;…

The page is interrupted by records of molecules =
=====
[1]
Computed, not measured: a structure of composition C48H55IN4O8SSm, with ωB97M-V/def2-TZVPD.

- Multiplicity: 6
- Relative energy (zero: lowest compared OMol25 entry of this formula, charge and spin): 70.5 kcal per mole
- E_LUMO (spin up / spin down): 2.039 / 0.529 eV
- Energy: -4036.8767 Ha
- Gap between HOMO and LUMO (spin up / spin down): 6.8 / 6.2 eV
- Net charge: -1

Structure (XYZ):
```
118
C48H55IN4O8SSm ωB97M-V/def2-TZVPD
Sm 0.5615 2.3557 -1.1323
C 0.5979 -5.0630 -1.7136
C 1.0548 -4.4241 -3.0281
C 0.0189 -4.7803 -4.1054
C 2.4207 -5.0237 -3.3951
C 1.2056 -2.9144 -2.9244
C 1.0797 -2.2254 -1.7493
C 1.2636 -0.8240 -1.7025
N 1.1265 -0.0866 -0.6015
C 1.0778 -0.6921 0.6297
C 2.0294 -1.6294 1.0387
C 1.9783 -2.1720 2.3065
C 0.8776 -1.8681 3.1006
C -0.1325 -0.9793 2.7281
C 0.0603 -0.3034 1.5228
O -0.7254 0.7470 1.0131
C -1.3625 -0.8740 3.6336
C -1.0920 0.1220 4.7690
C -1.6675 -2.2508 4.2592
C -2.6207 -0.4739 2.8487
C 3.0518 -3.1069 2.8436
C 4.1869 -3.3281 1.8405
C 3.6525 -2.4858 4.1126
C 2.4334 -4.4730 3.1701
C 1.5652 -0.0810 -2.9321
O 1.7854 1.1580 -2.8360
C 1.6381 -0.8282 -4.1595
C 1.4985 -2.1905 -4.1026
C 1.9149 -0.1347 -5.4901
C 1.2444 1.2416 -5.5607
C 1.3846 -0.9525 -6.6780
C 3.4370 0.0264 -5.6302
H 0.4977 -6.1389 -1.8482
H -0.3672 -4.6693 -1.4046
H 1.3211 -4.8915 -0.9201
H -0.1548 -5.8552 -4.1164
H 0.3470 -4.4857 -5.0982
H -0.9261 -4.2833 -3.8960
H 2.3352 -6.1031 -3.5102
H 3.1421 -4.8138 -2.6072
H 2.8037 -4.6054 -4.3225
H 0.7958 -2.7221 -0.8343
H 2.8179 -1.8626 0.3431
H 0.8067 -2.3431 4.0635
H -0.2298 -0.1935 5.3546
H -1.9560 0.1842 5.4268
H -0.8926 1.1134 4.3758
H -0.9665 -2.5107 5.0484
H -1.6505 -3.0308 3.5005
H -2.6581 -2.2336 4.7091
H -2.6303 0.5807 2.5972
H -3.5054 -0.6646 3.4533
H -2.7003 -1.0610 1.9352
H 4.6630 -2.3856 1.5832
H 3.8244 -3.8043 0.9318
H 4.9399 -3.9782 2.2829
H 4.0612 -1.5032 3.8861
H 4.4527 -3.1179 4.4935
H 2.9029 -2.3719 4.8914
H 1.9875 -4.9078 2.2776
H 1.6613 -4.3873 3.9290
H 3.1990 -5.1533 3.5387
H 1.5968 -2.7592 -5.0116
H 0.1985 1.1729 -5.2695
H 1.2936 1.6328 -6.5753
H 1.7302 1.9512 -4.9010
H 0.3369 -1.2032 -6.5263
H 1.9502 -1.8684 -6.8376
H 1.4605 -0.3575 -7.5861
H 3.8266 0.6417 -4.8220
H 3.6797 0.5030 -6.5788
H 3.9279 -0.9463 -5.5909
O -1.9558 2.9764 -0.7521
C -2.9716 2.8255 -1.4222
C -3.1562 1.8892 -2.4933
C -4.3715 1.8286 -3.1616
C -4.5735 0.9274 -4.1917
C -3.5325 0.0534 -4.5809
C -2.3349 0.0860 -3.9446
C -2.0730 0.9996 -2.8636
O -0.9671 1.0125 -2.2741
N -5.8210 0.8716 -4.8478
O -5.9594 0.0776 -5.7688
O -6.7171 1.6107 -4.4613
H -3.8647 3.4413 -1.2001
H -5.1748 2.4950 -2.8837
H -3.7225 -0.6287 -5.3965
H -1.5265 -0.5722 -4.2318
N 0.5114 5.0886 1.2136
C 0.4731 4.1635 0.5188
C -4.5806 4.2426 9.0855
C -3.7206 4.1275 7.8631
O -3.2044 3.1210 7.4640
S -3.5375 5.6811 7.0122
C -2.7051 5.0459 5.5683
C -1.3762 4.6675 5.6545
C -0.8106 3.9576 4.6152
C -1.5812 3.6223 3.5001
C -2.8868 4.1065 3.3841
C -3.4514 4.8126 4.4238
C -1.1105 2.6891 2.5543
C -0.9233 1.7616 1.8044
H -4.1012 3.7154 9.9086
H -5.5335 3.7548 8.8838
=====
So much for the records of molecules =


Ron Johnson (R-BP) Should Divest From Big Oil Interests and Support Fund for Gulf Oil Spill Victims

Splash - 15th Jul 2010

Before the BP Oil Spill in the Gulf, Johnson said in a March 21, 2010, Speech that, “Big Pharma and Big Oil are not evil.” [Speech at Winnebago County Republican Party, Oshkosh, March 21, 2010] Johnson said, “[T]he first thing th…


Catfood Commissioner: 'Fiscal Cancer' Consuming The Economy. Here's A Crying Towel, Erskine!

Crooks and Liars - 12th Jul 2010

As I keep saying, Social Security is a pay-as-you-go program which funds itself. All Social Security needs to stay 100% funded through the next 50 years is to remove the cap on earnings placed there under Ronald Reagan as a perk for the well-to…


Harry Reid: Drug (Money) Kingpin

Firedoglake - 7th Jul 2010

To the surprise of — well, absolutely nobody I guess — Harry Reid is rolling in drug money . Tim Carney reports that “no Incumbent is receiving as much air support from the drug Industry as is Reid, who championed a Health Car…


Drug lobby showers money on its hero Harry Reid

Washington Examiner - 7th Jul 2010

No scalp would be as treasured by Republicans this fall as that of Senate Majority Leader Harry Reid. And no Incumbent is receiving as much air support from the drug Industry as is Reid, who championed a Health Care Bill that pads drug company p…